What is Thermoelectric Energy Harvesting?

Energy harvesting is auguring an exciting new future for IoT technology. The Internet of things is well into its prime and it is only continuing to grow in stature, popularity, and use, with each passing day. It is now very clear that IoT technology is going to play a central role in shaping our future. In this article, we take a deep dive into one of the lesser-known energy harvesting modalities - thermoelectric energy harvesting. Jump right in to know all about the principles involved in thermoelectric energy harvesting and the potential applications of this exciting technology.
The world around us is in flux - the last two decades have seen technological progress steam to a breakneck pace. Just look around yourself at your room and think about what it looked like in 2010. It’s truly astonishing to see how central a position technology has taken in our lives. This is no coincidence and by no means is it an aberration - human progress has always been driven by faster and more efficient means of data processing.
-- Inserted here: data records --
********
DFT (GGA-PBE) results for a relaxed structure of BeCoCuP2.

```
BeCoCuP2
1.0
-3.869 1.751 -0.223
-1.644 -3.505 1.005
0.245 1.063 4.110
Co P Be Cu
1 2 1 1
direct
0.000 0.000 0.000
0.000 0.000 0.500
0.500 0.000 0.000
0.000 0.500 0.000
0.500 0.500 0.500
```

Properties
Its symmetry is P4/mmm (123). As for the energy above the most stable polymorph in this dataset: 0.000 eV per atom. The final energy comes out at -4.65 eV/atom. Its calculated formation energy is 0.50 eV per atom. The value obtained for the spin magnetization is 0.00 μB per atom.

~~~~~

Entry 1:
Below is Tl2TeIr after structural relaxation, with properties calculated at the PBE level.

The energy above the most stable polymorph in this dataset is 0.4359 eV per atom. The value obtained for the total moment is 0.000 μB/atom.

The structure belongs to space group P4/mmm (No. 123); the cell edges are 4.1738, 4.1738 and 5.6269 Å and the angles 90.00°, 90.00° and 90.00°. The asymmetric unit holds Tl at (0.0000, 0.5000, 0.0000), Te at (0.0000, 0.0000, 0.5000) and Ir at (0.5000, 0.5000, 0.5000).

***

Entry 2:
Below is Y6TlTe3Ir2 after structural relaxation, with properties calculated at the PBE level.

The calculated total energy comes out at -6.650 eV per atom. The value obtained for the total moment is 0.000 μB/atom.

The structure belongs to space group C2/m (No. 12); the cell edges are 19.2883, 4.1533 and 8.9068 Å and the angles 90.00°, 109.70° and 90.00°. The asymmetric unit holds Y at (0.0081, 0.0000, 0.2593), Y at (0.1710, 0.5000, 0.1068), Y at (0.1830, 0.5000, 0.5490), Tl at (0.0000, 0.5000, 0.0000), Te at (0.0000, 0.5000, 0.5000), Te at (0.1631, 0.0000, 0.8245) and Ir at (0.1615, 0.0000, 0.3159).

***

Entry 3:
Below is Tm7Te2Ir2 after structural relaxation, with properties calculated at the PBE level.

The energy above the most stable polymorph in this dataset is 0.1969 eV per atom. The value obtained for the total moment is 0.000 μB/atom.

The structure belongs to space group Cmmm (No. 65); the cell edges are 8.6721, 10.3420 and 7.1233 Å and the angles 90.00°, 90.00° and 90.00°. The asymmetric unit holds Tm at (0.0000, 0.0000, 0.0000), Tm at (0.0000, 0.5000, 0.2289), Tm at (0.2500, 0.2500, 0.2378), Te at (0.2157, 0.0000, 0.5000) and Ir at (0.0000, 0.2773, 0.0000).

***

Entry 4:
Below is Tm5Te4Ir after structural relaxation, with properties calculated at the PBE level.

The energy above the most stable polymorph in this dataset is 0.0000 eV per atom. The value obtained for the total moment is 0.000 μB/atom.

The structure belongs to space group I4/m (No. 87); the cell edges are 9.6674, 9.6674 and 6.0299 Å and the angles 90.00°, 90.00° and 90.00°. The asymmetric unit holds Tm at (0.0000, 0.0000, 0.0000), Tm at (0.0925, 0.7426, 0.5000), Te at (0.0891, 0.6887, 0.0000) and Ir at (0.0000, 0.0000, 0.5000).

***

Entry 5:
Below is Tm5Te5Ir after structural relaxation, with properties calculated at the PBE level.
********
A few hundred years ago, it was the invention of the printing press by German inventor Johannes Gutenberg, that catalysed the spread of enlightenment ideas in Europe. It allowed information to be circulated faster and to more people than ever before. We all know what that enabled in terms of elevating standards of living and slashing poverty rates.
Today, we stand at the precipice of yet another revolution, possibly just as monumental in it’s promise - The internet of things. IoT is possibly a term you have encountered quite a lot in recent times and for good reason - it is starting to feature more and more in our daily lives and this trend is only set to continue. This 21st-century trend is no different, in essence, to the printing press and why it became such a catalyst for change - Both these trends are about data transfer. They’re about increasing the reach and penetration of information.
IoT technology allows us to get things done better, faster and more efficiently. It does this by allowing us to harness the power of massive data collection and fast processing and transfer. Today IoT technology powers literally hundreds or even thousands of everyday applications around us - one barely resembling the other - But, all these disparate applications are based on the simple precept of more efficient data processing = better results.
Energy harvesting technologies broke into the scene a few years ago as the next logical step in this chain of reasoning. If IoT technology was all the rage because of how it allowed us to vastly expand the scope of our substantial computing/data crunching prowess, energy harvesting truly poured fuel onto an already raging fire. Energy harvesting technology was a crucial innovation that allowed IoT to truly spread its wings and break previously insurmountable barriers.
Energy harvesting comes of age
Little did we know during the heady early days of IoT that we’re going to run into a major bottleneck in the form of batteries. Batteries were just not cutting it in terms of being a viable power solution for IoT devices. They came with serious limitations - even the best of them only had a limited lifespan which meant that deploying sensors in remote areas would prove to be an expensive hassle. Moreover, batteries limited the scope of development when it came to designing newer, sleeker and more cutting-edge edge devices. Moreover, batteries came with one truly horrendous environmental cost, which was just impossible to ignore.
But, innovation and ingenuity have always served us well in overcoming roadblocks and making sure we push civilization forward. The IoT battery bottleneck was no exception - energy harvesting emerged as the go-to alternative power solution for IoT edge devices, a few years back. Since then, energy harvesting has come a very long way from being the alternative power source of choice to being the default power solution for all manner of IoT setups.
To be fair, this is not hard to understand - energy harvesting simply makes more sense in every possible way. Self-powered nodes that use energy harvesting technology come with a whole host of advantages that battery-based solutions simply can’t hold a candle to - They are significantly more economical to run over the course of a project’s lifetime and do not require much in the way of maintenance and upkeep, i.e they are essentially maintenance-free. Moreover, and this possibly the most critical benefit that they bring to the table, they are super environmentally friendly. They don’t use rare minerals, toxic chemicals or slave labour. Add to that the fact that they don’t contribute to our growing e-waste problem, and you shouldn’t have any trouble seeing why they’re the gold standard when it comes to power solutions for IoT projects.
Energy harvesting comes in many flavours - some of them like Triboelectric energy harvesting, piezoelectric energy harvesting and RF energy harvesting are very popular and well known. But in addition to these mainstays, all sorts of weird and wacky energy harvesting modalities have cropped up in recent years.
Thermoelectric energy harvesting is one such promising energy harvesting technology that has emerged out of the woodwork. In the ensuing sections, we’ll take a look at the basic principles involved in thermoelectric energy harvesting, some of the popular uses of thermoelectric energy harvesting and examine why it’s so promising.
The basics of thermoelectric energy harvesting
The fundamental principle that underlies any type of energy harvesting technology is that at any given point of time, there is an enormous amount of untapped energy around us. Energy harvesting taps into this ubiquitous store of energy and converts it into usable electrical energy that can power nano-devices. This seemingly simple idea forms the basis of the massive IoT power revolution that we are seeing today. This process, also known as energy scavenging, can theoretically be extrapolated to fit any form of ambient energy, be it heat, vibration or electromagnetic energy.
So, this ambient energy sounds all swell and everything but, it sounds a bit abstract right? How does it work in real life? If you’re reading this, it is probably safe to assume that you’ve got a wi-fi router around you somewhere. That router is emitting packets of electromagnetic waves that are now all around you. Your computer uses this field to bring you your favourite cat videos and allows you to use this energy to write diss-posts on reddit. What’s more is that wi-fi is just one of the many kinds of electromagnetic waves that are constantly around us and furthermore, electromagnetic waves are just one of the several forms of energy that are present in abundant quantities around us.
So, think. What other form of energy is around us all the time - yeah that’s right, heat!
• Unrelated to this entry: calculated crystals:
-- begin --
This record from the Alexandria database describes a geometry-optimized CsVF3 structure. The functional is GGA+U.

Values from the calculation:
**Calculated total energy**: -53.6 eV/cell
**ρ**: 4.6 g/cm³

a b c (Å): 3.506 5.832 8.511
angles (deg): 90.00 90.00 90.00
Positions (direct):
Cs 0.250 0.250 0.144
Cs 0.750 0.750 0.856
V 0.250 0.750 0.386
V 0.750 0.250 0.614
F 0.250 0.021 0.621
F 0.250 0.479 0.621
F 0.250 0.750 0.141
F 0.750 0.250 0.859
F 0.750 0.521 0.379
F 0.750 0.979 0.379

=====

Pd3Pt2Au2 PBE-GGA relaxed; V = 16.16 Å³/atom; electronic total energy = -4.89 eV/atom; DFT formation energy = -0.0061 eV/atom; DOS at the Fermi energy = 12.96 states/eV per cell; symmetry = P-1, No. 2
1.0
-2.796 -2.140 3.423
4.207 3.562 3.230
-0.244 4.693 1.549
Pd Au Pt
3 2 2
Direct
0.140 0.567 0.717
0.000 0.000 0.000
0.860 0.433 0.283
0.713 0.853 0.575
0.287 0.147 0.425
0.428 0.716 0.150
0.572 0.284 0.850


Pd2Pt6Au PBE-GGA relaxed; V = 15.80 Å³/atom; electronic total energy = -5.56 eV/atom; DFT formation energy = -0.0111 eV/atom; DOS at the Fermi energy = 34.31 states/eV per cell; symmetry = P4_2/mnm, No. 136
1.0
-2.941 -2.727 -0.280
4.986 -4.898 -4.679
2.833 -3.769 6.964
Pd Pt Au
4 12 2
Direct
0.500 0.837 0.664
0.000 0.337 0.836
0.500 0.163 0.336
0.000 0.663 0.164
0.500 0.828 0.328
0.000 0.665 0.494
0.000 0.672 0.828
0.500 0.506 0.665
0.500 0.494 0.335
0.000 0.328 0.172
0.000 0.006 0.835
0.500 0.172 0.672
0.500 0.835 0.994
0.000 0.335 0.506
0.500 0.165 0.006
0.000 0.994 0.165
0.000 0.000 0.500
0.500 0.500 0.000


Pd2PtAu3 PBE-GGA relaxed; energy above the most stable polymorph in this dataset = 0 meV/atom; V = 16.69 Å³/atom; electronic total energy = -4.42 eV/atom; DFT formation energy = -0.0404 eV/atom; DOS at the Fermi energy = 11.33 states/eV per cell; symmetry = P-1, No. 2
1.0
4.923 -0.457 -0.127
0.648 6.764 1.927
-1.421 0.881 6.211
Pd Au Pt
4 6 2
Direct
0.872 0.376 0.867
0.379 0.872 0.378
0.621 0.128 0.622
0.128 0.624 0.133
0.794 0.956 0.126
0.206 0.044 0.874
0.039 0.211 0.371
0.454 0.294 0.121
0.546 0.706 0.879
0.961 0.789 0.629
0.293 0.461 0.617
0.707 0.539 0.383


PdPtAu PBE-GGA relaxed; energy above the most stable polymorph in this dataset = 0 meV/atom; V = 16.31 Å³/atom; electronic total energy = -4.85 eV/atom; DFT formation energy = -0.0108 eV/atom; DOS at the Fermi energy = 9.67 states/eV per cell; symmetry = C2/m, No. 12
1.0
-2.158 -0.977 4.277
-3.115 -3.495 1.411
3.231 -4.137 2.555
Pd Au Pt
2 2 2
Direct
0.000 0.500 0.242
0.000 0.500 0.758
0.666 0.166 0.417
0.334 0.834 0.583
0.335 0.835 0.075
0.665 0.165 0.925


Pd2Pt2Au PBE-GGA relaxed; energy above the most stable polymorph in this dataset = 140 meV/atom; V = 17.93 Å³/atom; electronic total energy = -4.86 eV/atom; DFT formation energy = 0.2845 eV/atom; DOS at the Fermi energy = 9.11 states/eV per cell; symmetry = I4/mmm, No. 139
1.0
3.662 0.000 0.000
0.000 3.662 0.000
1.831 1.831 6.683
Au Pd Pt
1 2 2
Direct
0.000 0.000 0.000
0.599 0.599 0.802
0.401 0.401 0.198
0.750 0.250 0.500
-- stop --
Thermoelectric energy harvesting essentially refers to the process of converting heat energy into electrical energy. There are two important terms you are likely to encounter when it comes to thermoelectric energy harvesting - the Seebeck effect and TEGs.
Without further ado, let’s see what these terms mean.
First off, what’s the Seebeck effect? The Seebeck effect is a physical phenomenon that was first explained by a scientist named, well you guessed it, Seebeck. When there is a temperature gradient between two different kinds of electrical conductors or semiconductors, there is a voltage gradient that develops between them as well. This is the Seebeck effect in a nutshell. To put it even more simply, a temperature gradient between two conductors also results in the formation of a voltage gradient. Thermoelectric energy harvesting exploits this phenomenon to convert heat energy into electrical energy.
What is a TEG then?
TEGs or thermoelectric generators are solid state devices that use the Seebeck effect to generate electricity using heat flux. In essence, they do exactly what heat engines do but are lighter and contain fewer moving parts, both of which are desirable attributes in the context of remote sensing and IoT applications in far-flung, remote areas.
TEGs tend to be more expensive than heat engines due to the higher costs involved in producing them. There is a limited number of materials that can be used to manufacture TEGs. These materials are called thermoelectric materials. Each of these materials is ranked on a so-called thermoelectric list in order of their thermal conductivity.
Alloys of bismuth, tellurium and selenium are some common examples of materials that are used to make TEGs. TEGs are used in a wide range of applications - usually, they are used in places where more efficient but heavier engines like Stirling engines aren’t feasible. Among other things, you’d find TEGs in space probes, automotive generators, solar cells and off-grid power generators.
Energy harvesting using TEGs
In TEG systems, the optimisation of the design plays a huge role in the efficiency and functionality of the final energy harvesting system. Efficiency is the name of the game when it comes to any energy harvesting setup - how good is the system at converting input into output. The less energy a system dissipates and squanders back into the atmosphere, the better it is considered to be. WIth TEG’s however, efficiency is not the main selling point.
Thermoelectric generators are particularly desirable from an energy harvesting standpoint because of how quietly they operate.They’re also quite universal in their functionality because they use heat as their source energy. It doesn’t take a heart surgeon to know that there’s more areas with an abundance of heat energy than say RF waves. Yet another advantage is that they are ideally suited to be deployed in high-temperature environments, where other types of energy harvesters may not be quite as right a fit. Usually, thermoelectric can handle temperatures of up to 250°C. But here’s the cool part - they can also be used in colder climes. After all, it’s not like they necessarily need heat to generate electricity so much as a temperature gradient. So, given the right conditions, they can also be deployed on cold surfaces.
And of course like all other energy harvesters, they are a green energy source, being completely eco-friendly. A TEG device, much like any other energy harvesting device, is a step in the right direction towards a fossil-fuel independent future.
Real world applications of TEGs
We’ve seen how TEG’s have a number of favourable properties that make them a particularly compelling option for a wide variety of IoT applications such as military, aviation, space technology, medical implants, biotechnology and consumer wearables.
The only challenge that a lot of manufacturers face with TEGs is their low efficiency. But, many are finding ways to circumvent this problem by employing waste heat recovery.
In this section, let’s examine some of the major use-cases for TEGs.
1. Military
Military systems are very reliant on energy availability. This energy is mostly in the form of fossil fuel, whether we like it or not. Alternative energy sources are still not nearly viable when it comes to heavy-duty use cases that the armed forces need.
Military avionics, infrared detectors, thermal viewing devices, cooling systems and missile testing are just a few examples of military applications where thermoelectric energy harvesting is understood to have vast potential and huge promise.
The American military, for example, has been on the lookout for a company that could help it build a brand new missile guidance system tester. They identified a promising thermoelectric firm that could collaborate with them on building a test-system that could produce 500 Watts.
2. Space vehicles
Thermoelectric energy harvesting is used in space vehicles where relying on batteries to power devices is not very practical.
You might find yourself wondering though, “hey wait a minute, it’s also not practical to go about setting up temperature gradients in outer space right?”
Yes you’d be right. That’s why Radioisotope thermoelectric Generators (RTGs) are used in outer space. An RTG or RITEG as it’s otherwise called, is a rather complex battery that uses a set of thermocouples to harness the heat energy that is released by the decay of an appropriate radioactive material, and convert this energy into electricity. RTGs are a robust and highly dependable source of electricity for space applications because they can function in vacuum and are able to handle high vibrations. They are famously used by NASA in expeditions which last several months or years - These are situations where sunlight can’t be relied upon and RTGs are considered to be the gold standard.
RTGs are usually made to be able to sustain high temperatures (upto 1000°C). Silicon germanium, Lead tin telluride, and tellurides of antimony, germanium and silver (TAGS) are semiconductor materials of choice for RTGs.
Much like regular TEGs, RTGs achieve this using the Seebeck effect.
Thermoelectric energy harvesting is also employed in health monitoring systems (HMS) of aircrafts. One of the main building blocks of an HMS is a self-powered wireless sensor node. It’s not hard to see why energy harvesting sensors are preferred for this purpose.
3. Consumer wearables
TEG devices particularly shine in low-power applications. Moreover, being a semiconductor/IoT company, this is also the application of TEG that excites us the most. In recent years, many have tried their hand, with quite some success, at using TEGs to power wearable microelectronics.
In the past few years, wearables have exploded in a big way. Smartwatches, fitness trackers etc have become an essential part of people’s everyday lives. They are no longer considered to be the frippery gimmicks that were seen to be even just a few years ago.
Why TEGs are a particularly compelling power solution for IoT wearables is that they can harvest body heat and use it to power the device. Imagine a wristwatch that literally runs on the heat emitted by your wrist. Moreover, the ultra-low power requirements of these kinds of devices play in the favour of TEGs and their biggest limitation i.e low energy efficiency. TEGs make use of the temperature difference between the wearer’s wrist and the surrounding atmosphere in order to generate a voltage, which in most cases, is more than enough to run the device.
The same can be said about bio-medical implants, which are designed to be used for several years at a time, and that too inside the user’s body. It is highly impractical for these systems to use batteries. Heat is a constant source of energy that is available within the human body and with just a little bit of ingenuity, TEGs can be used very successfully in bio-implants.
4. Industrial
Factories and manufacturing plants are possibly some of the best candidates for TEGs. As such, industrial plants come under a lot of scrutiny for being massive contributors to greenhouse gas emissions.
TEGs could be perfect in industrial setups for this very reason. Thermoelectric harvesters would be able to recover waste heat and convert it to electricity, which is a resource industrial plants are always happy to have more of. Plants have all manner of small electronic devices that could be powered by these TEGs, which would also add up to significant savings in the long run. Most of these microelectronics run on batteries today - using TEGs would significantly cut down on the maintenance costs associated with replacing batteries.
5. Automotive industry
Thermoelectric energy harvesting has definitely captured the fancy of the auto industry. Again, the reason is fairly obvious - motorcycles and cars dissipate a lot of energy in the form of heat. The automotive industry is sure to pause and take a long hard look at any proposition that offers them a chance to harness even a small fraction of this tremendous amount of energy, that is so far going entirely untapped.
Even accounting for the low efficiency of TEGs, the industry stands to gain a lot. Modern automobiles have a lot of functionality that depends on batteries. Thermoelectric energy harvesting offers a brilliant way to kill two birds with one stone - making use of the tremendous amount of wasted heat, for which the industry faces serious scrutiny and also, potentially, breaking free of the battery, which would make a lot of economic sense.
A TEG placed in the exhaust system of an automobile should theoretically be able to harvest enough energy to at least play an augmenting role to the battery.
6. Residential
Thermoelectric generators could be a great fit in smart home setups. Within a standard residence, there are enough temperature gradients at play - Whether it’s the kitchen which is hotter than the air outside or the vice versa for the air conditioned bedroom.
There is a lot of scope of thermoelectric generators to be used in residences to power all manner of smart home devices, like smart light switches, smart fridges, smart bulbs etc.
TEG systems could be mounted on domestic boilers, water heaters, stoves, or even solar energy systems.
Mounting environmental concerns
The discerning reader would have noticed a recurring theme across several sections of this post-climate change and impending ecological crisis. It is not news to anybody by now that worries about climate change are at an all-time high.
More people than ever before are lending their voices to the cause of ecological awareness and a more sensible and equitable approach to human civilisation. Energy harvesting and TEGs are extremely relevant in this context because they offer us a glimpse into a future where we aren’t so dependant on fossil fuels to run our grand industrial enterprise.
Energy harvesting may not be the big answer to all our problems today but it sure is opening up a hell of a lot of opportunities that just weren’t there even a few years ago. This article is meant to bring TEGs into public awareness and highlight the sheer scope of potential applications that they can enable.